File.
Entry 1:
# PrAu | Alexandria via LeMat-Bulk | meta-GGA SCAN | PBEsol geometry
data_PrAu
_chemical_formula_sum 'Pr4 Au4'
_space_group_name_H-M_alt 'P 1'
_space_group_IT_number 1
_cell_length_a 4.757
_cell_length_b 5.782
_cell_length_c 7.440
_cell_angle_alpha 90.00
_cell_angle_beta 90.00
_cell_angle_gamma 90.00
loop_
_space_group_symop_operation_xyz
'x,y,z'
loop_
_atom_site_label
_atom_site_type_symbol
_atom_site_fract_x
_atom_site_fract_y
_atom_site_fract_z
_atom_site_occupancy
Pr1 Pr 0.250 0.858 0.685 1
Au1 Au 0.750 0.646 0.461 1
Au2 Au 0.250 0.354 0.539 1
Pr2 Pr 0.250 0.642 0.185 1
Pr3 Pr 0.750 0.358 0.815 1
Au3 Au 0.750 0.854 0.961 1
Au4 Au 0.250 0.146 0.039 1
Pr4 Pr 0.750 0.142 0.315 1
# SG ... No. 62
# Calculated total energy ... -57.28 eV per atom


Entry 2:
# PrAu2 | Alexandria via LeMat-Bulk | meta-GGA SCAN | PBEsol geometry
data_PrAu2
_chemical_formula_sum 'Pr2 Au4'
_space_group_name_H-M_alt 'P 1'
_space_group_IT_number 1
_cell_length_a 4.611
_cell_length_b 5.895
_cell_length_c 5.895
_cell_angle_alpha 73.25
_cell_angle_beta 66.98
_cell_angle_gamma 66.98
loop_
_space_group_symop_operation_xyz
'x,y,z'
loop_
_atom_site_label
_atom_site_type_symbol
_atom_site_fract_x
_atom_site_fract_y
_atom_site_fract_z
_atom_site_occupancy
Au1 Au 0.162 0.300 0.375 1
Pr1 Pr 0.461 0.289 0.789 1
Au2 Au 0.838 0.125 0.200 1
Pr2 Pr 0.539 0.711 0.211 1
Au3 Au 0.162 0.875 0.800 1
Au4 Au 0.838 0.700 0.625 1
# SG ... No. 74
# Calculated total energy ... -61.52 eV per atom


Number 1: size of the total moment 0.0 μB per formula unit, ΔE_f -1.0375 eV per atom. Number 2: size of the total moment 0.0 μB per formula unit, ΔE_f -0.9707 eV per atom.

=====

Here is a relaxed structure of Sm2PAu from the Alexandria database. Energies are from PBE.

Summary:
Energy of formation from the pure elements in kJ/mol of atoms: -105.1
DOS at the Fermi energy in states/eV/f.u.: 4.8

Cell and atoms, written as POSCAR:
```
Sm2PAu
1.0
2.053 1.185 7.152
-2.053 1.185 7.152
0.000 -2.371 7.152
Sm P Au
2 1 1
Direct
0.242 0.242 0.242
0.758 0.758 0.758
0.500 0.500 0.500
0.000 0.000 0.000
```


Here is a relaxed structure of Sm6Te3P2Au from the Alexandria database. Energies are from PBE.

Summary:
Formation energy without anion corrections in eV per atom: -1.394
DOS at the Fermi energy in states/eV/f.u.: 5.7

Cell and atoms, written as POSCAR:
```
Sm6Te3P2Au
1.0
9.444 -2.112 0.000
9.444 2.112 0.000
-2.154 0.000 8.504
Sm Te P Au
6 3 2 1
Direct
0.011 0.011 0.244
0.325 0.325 0.436
0.333 0.333 0.888
0.667 0.667 0.112
0.675 0.675 0.564
0.989 0.989 0.756
0.164 0.164 0.832
0.500 0.500 0.500
0.836 0.836 0.168
0.169 0.169 0.337
0.831 0.831 0.663
0.500 0.500 0.000
```


Here is a relaxed structure of Sn2P2Au from the Alexandria database. Energies are from PBE.

Summary:
Energy of formation from the pure elements in kJ/mol of atoms: 22.1
DOS at the Fermi energy in states/eV/f.u.: 1.5

Cell and atoms, written as POSCAR:
```
Sn2P2Au
1.0
7.503 0.000 0.000
0.000 7.503 0.000
0.000 0.000 3.805
Sn P Au
4 4 2
Direct
0.151 0.349 0.000
0.349 0.849 0.000
0.651 0.151 0.000
0.849 0.651 0.000
0.171 0.671 0.500
0.329 0.171 0.500
0.671 0.829 0.500
0.829 0.329 0.500
0.000 0.000 0.500
0.500 0.500 0.500
```

=====

Compound: LiRu2Pb
Source: the Alexandria database
Functional: GGA-PBE
Structure: relaxed

Cell lengths 2.9463, 2.9463, 8.2636 Å; angles 90.00, 90.00, 90.00 degrees
Atoms (fractional coordinates):
Li (0.0000, 0.0000, 0.4565)
Pb (0.5000, 0.5000, 0.7752)
Ru (0.0000, 0.0000, 0.0419)
Ru (0.5000, 0.5000, 0.2264)

Results
Energy = -5.79 eV/atom

To do.
Type out the entries above with every line break kept, please.

Worked solution.
Entry 1:
# PrAu | Alexandria via LeMat-Bulk | meta-GGA SCAN | PBEsol geometry
data_PrAu
_chemical_formula_sum 'Pr4 Au4'
_space_group_name_H-M_alt 'P 1'
_space_group_IT_number 1
_cell_length_a 4.757
_cell_length_b 5.782
_cell_length_c 7.440
_cell_angle_alpha 90.00
_cell_angle_beta 90.00
_cell_angle_gamma 90.00
loop_
_space_group_symop_operation_xyz
'x,y,z'
loop_
_atom_site_label
_atom_site_type_symbol
_atom_site_fract_x
_atom_site_fract_y
_atom_site_fract_z
_atom_site_occupancy
Pr1 Pr 0.250 0.858 0.685 1
Au1 Au 0.750 0.646 0.461 1
Au2 Au 0.250 0.354 0.539 1
Pr2 Pr 0.250 0.642 0.185 1
Pr3 Pr 0.750 0.358 0.815 1
Au3 Au 0.750 0.854 0.961 1
Au4 Au 0.250 0.146 0.039 1
Pr4 Pr 0.750 0.142 0.315 1
# SG ... No. 62
# Calculated total energy ... -57.28 eV per atom


Entry 2:
# PrAu2 | Alexandria via LeMat-Bulk | meta-GGA SCAN | PBEsol geometry
data_PrAu2
_chemical_formula_sum 'Pr2 Au4'
_space_group_name_H-M_alt 'P 1'
_space_group_IT_number 1
_cell_length_a 4.611
_cell_length_b 5.895
_cell_length_c 5.895
_cell_angle_alpha 73.25
_cell_angle_beta 66.98
_cell_angle_gamma 66.98
loop_
_space_group_symop_operation_xyz
'x,y,z'
loop_
_atom_site_label
_atom_site_type_symbol
_atom_site_fract_x
_atom_site_fract_y
_atom_site_fract_z
_atom_site_occupancy
Au1 Au 0.162 0.300 0.375 1
Pr1 Pr 0.461 0.289 0.789 1
Au2 Au 0.838 0.125 0.200 1
Pr2 Pr 0.539 0.711 0.211 1
Au3 Au 0.162 0.875 0.800 1
Au4 Au 0.838 0.700 0.625 1
# SG ... No. 74
# Calculated total energy ... -61.52 eV per atom


Number 1: size of the total moment 0.0 μB per formula unit, ΔE_f -1.0375 eV per atom. Number 2: size of the total moment 0.0 μB per formula unit, ΔE_f -0.9707 eV per atom.

=====

Here is a relaxed structure of Sm2PAu from the Alexandria database. Energies are from PBE.

Summary:
Energy of formation from the pure elements in kJ/mol of atoms: -105.1
DOS at the Fermi energy in states/eV/f.u.: 4.8

Cell and atoms, written as POSCAR:
```
Sm2PAu
1.0
2.053 1.185 7.152
-2.053 1.185 7.152
0.000 -2.371 7.152
Sm P Au
2 1 1
Direct
0.242 0.242 0.242
0.758 0.758 0.758
0.500 0.500 0.500
0.000 0.000 0.000
```


Here is a relaxed structure of Sm6Te3P2Au from the Alexandria database. Energies are from PBE.

Summary:
Formation energy without anion corrections in eV per atom: -1.394
DOS at the Fermi energy in states/eV/f.u.: 5.7

Cell and atoms, written as POSCAR:
```
Sm6Te3P2Au
1.0
9.444 -2.112 0.000
9.444 2.112 0.000
-2.154 0.000 8.504
Sm Te P Au
6 3 2 1
Direct
0.011 0.011 0.244
0.325 0.325 0.436
0.333 0.333 0.888
0.667 0.667 0.112
0.675 0.675 0.564
0.989 0.989 0.756
0.164 0.164 0.832
0.500 0.500 0.500
0.836 0.836 0.168
0.169 0.169 0.337
0.831 0.831 0.663
0.500 0.500 0.000
```


Here is a relaxed structure of Sn2P2Au from the Alexandria database. Energies are from PBE.

Summary:
Energy of formation from the pure elements in kJ/mol of atoms: 22.1
DOS at the Fermi energy in states/eV/f.u.: 1.5

Cell and atoms, written as POSCAR:
```
Sn2P2Au
1.0
7.503 0.000 0.000
0.000 7.503 0.000
0.000 0.000 3.805
Sn P Au
4 4 2
Direct
0.151 0.349 0.000
0.349 0.849 0.000
0.651 0.151 0.000
0.849 0.651 0.000
0.171 0.671 0.500
0.329 0.171 0.500
0.671 0.829 0.500
0.829 0.329 0.500
0.000 0.000 0.500
0.500 0.500 0.500
```

=====

Compound: LiRu2Pb
Source: the Alexandria database
Functional: GGA-PBE
Structure: relaxed

Cell lengths 2.9463, 2.9463, 8.2636 Å; angles 90.00, 90.00, 90.00 degrees
Atoms (fractional coordinates):
Li (0.0000, 0.0000, 0.4565)
Pb (0.5000, 0.5000, 0.7752)
Ru (0.0000, 0.0000, 0.0419)
Ru (0.5000, 0.5000, 0.2264)

Results
Energy = -5.79 eV/atom